Gene Review:
TF - transferrin
Bos taurus
- Production and characterization of chimeric transferrins for the determination of the binding domains for bacterial transferrin receptors. Retzer, M.D., Kabani, A., Button, L.L., Yu, R.H., Schryvers, A.B. J. Biol. Chem. (1996)
- The distribution of ferritin, lactoferrin and transferrin in granulomatous lymphadenitis of bovine paratuberculosis. Momotani, E., Whipple, D.L., Thiermann, A.B. J. Comp. Pathol. (1988)
- Orally administered HSV-specific transfer factor (TF) prevents genital or labial herpes relapses. Pizza, G., Viza, D., De Vinci, C., Palareti, A., Cuzzocrea, D., Fornarola, V., Baricordi, R. Biotherapy (Dordrecht, Netherlands) (1996)
- De novo initiation of specific cell-mediated immune responsiveness in chickens by transfer factor (specific immunity inducer) obtained from bovine colostrum and milk. Wilson, G.B., Poindexter, C., Fort, J.D., Ludden, K.D. Acta Virol. (1988)
- Vectorial secretion of transferrin and androgen binding protein in Sertoli cell cultures: effect of extracellular matrix, peritubular myoid cells and medium composition. Janecki, A., Steinberger, A. Mol. Cell. Endocrinol. (1987)
- An endocrine approach to the control of epidermal growth: serum-free cultivation of human keratinocytes. Maciag, T., Nemore, R.E., Weinstein, R., Gilchrest, B.A. Science (1981)
- Cell cycle control of c-kit+IL-7R+ B precursor cells by two distinct signals derived from IL-7 receptor and c-kit in a fully defined medium. Yasunaga, M., Wang, F., Kunisada, T., Nishikawa, S., Nishikawa, S. J. Exp. Med. (1995)
- Divalent Rab effectors regulate the sub-compartmental organization and sorting of early endosomes. de Renzis, S., Sönnichsen, B., Zerial, M. Nat. Cell Biol. (2002)
Between two parts of the text: data records =
Density functional theory data (the ωB97M-V functional and the def2-TZVPD basis) for 11 unconnected molecules or ions with the total composition C61H70F8O14S7.

Results
LUMO = -1.3 eV
HOMO = -0.308 hartree
Frontier orbital gap = 7.08 eV

Last column: Mulliken charge in e.
Positions of all 160 atoms, in Å:
C 0.48465 -4.08611 -4.70785  -1.1230
C -0.16119 -5.45465 -5.00207  1.1441
C 0.83604 -6.40479 -5.74729  0.0958
F 1.26020 -5.76016 -6.82205  -0.2782
F 1.92570 -6.83697 -5.07524  -0.2227
F -0.49432 -6.12175 -3.87919  -0.2832
F -1.40229 -5.32869 -5.59005  -0.3317
O 1.56387 -4.17077 -3.75666  -0.4144
C 1.24980 -3.66779 -2.45448  0.9728
C 2.48644 -4.05129 -1.64765  -0.1536
F 2.50109 -3.40424 -0.46853  -0.1412
F 2.81226 -5.29890 -1.51405  -0.2527
F 0.89920 -2.34392 -2.52315  -0.1181
F 0.20287 -4.37887 -1.93035  -0.2443
H -0.30648 -3.35954 -4.52263  0.4171
H 1.02489 -3.67980 -5.56292  0.4110
H 0.45816 -7.29890 -6.24315  0.2688
H 3.39472 -3.68177 -2.12365  0.2041
C -6.09821 -2.08053 3.24425  -0.7204
S -6.61273 -0.59217 2.21205  0.2416
O -5.60893 0.52722 2.56036  -0.4795
C -6.05103 -1.09219 0.53842  -0.6905
H -5.18168 -2.53200 2.86446  -0.0085
H -6.94739 -2.75986 3.16998  0.4647
H -6.07811 -1.64403 4.24283  0.3354
H -6.25223 -0.37957 -0.26146  0.4101
H -6.50645 -2.05083 0.29004  0.5645
H -5.01096 -1.41309 0.59649  -0.1291
C 0.23776 3.20981 -5.53406  -0.8184
S -0.64663 1.73019 -4.81744  0.7472
O -0.52870 0.44531 -5.62698  -0.6559
C 0.21466 1.59434 -3.18313  -0.2083
H -0.26235 3.89204 -6.22149  0.3459
H 1.16692 2.96645 -6.04937  0.4001
H 0.69259 3.82679 -4.75910  0.0118
H 0.38339 2.63142 -2.89314  -0.2200
H 1.20271 1.13529 -3.21673  0.4578
H -0.27983 1.17642 -2.30625  -0.0952
C 1.34464 -1.13258 1.06779  -0.8823
S -0.16625 -0.05474 1.17273  1.0156
O 0.20228 1.14446 0.34807  -0.5982
C -1.36822 -0.99071 0.22649  -0.5218
H 2.14168 -0.68072 1.65827  0.0647
H 1.73834 -1.19184 0.05310  0.2721
H 1.15777 -2.17354 1.33157  0.3550
H -2.25295 -0.64539 0.76140  -0.2089
H -1.24631 -2.04931 0.45583  0.4791
H -1.28518 -0.67606 -0.81380  0.1080
C -4.28155 -5.29958 0.40287  -0.6517
S -4.23560 -4.58479 -1.29655  0.4871
O -3.46824 -3.27004 -1.07612  -0.4596
C -3.12034 -5.73265 -2.18609  -0.8889
H -5.04117 -6.04781 0.62921  0.4380
H -4.47391 -4.48726 1.10374  -0.0757
H -3.32976 -5.73503 0.70717  0.3053
H -3.54452 -6.71809 -1.99355  0.4905
H -2.08030 -5.83859 -1.87755  0.1787
H -3.18636 -5.47140 -3.24226  0.2848
C 2.91670 3.24243 -0.62482  -0.7289
S 4.08996 3.79620 -1.95829  0.3886
O 3.57458 3.15356 -3.25851  -0.6153
C 3.57128 5.58877 -2.03805  -0.7284
H 2.65807 2.18360 -0.61583  0.1710
H 1.95678 3.75879 -0.63084  0.2437
H 3.42851 3.44232 0.31655  0.4883
H 2.66501 5.59055 -2.64368  -0.0005
H 4.32018 6.11607 -2.62897  0.3966
H 3.43080 6.23297 -1.17008  0.3641
C -3.94727 0.11942 -5.53548  -0.6527
S -5.13181 0.12840 -4.13793  0.6718
O -6.23023 -0.84007 -4.63882  -0.7556
C -4.11163 -0.77591 -2.91692  0.0211
H -3.77522 1.17108 -5.76462  0.2212
H -4.50784 -0.23083 -6.40219  0.3805
The data records stop here =
- A dominant-negative clathrin mutant differentially affects trafficking of molecules with distinct sorting motifs in the class II major histocompatibility complex (MHC) pathway. Liu, S.H., Marks, M.S., Brodsky, F.M. J. Cell Biol. (1998)
- Characterization of the ligand-binding site of the transferrin receptor in Trypanosoma brucei demonstrates a structural relationship with the N-terminal domain of the variant surface glycoprotein. Salmon, D., Hanocq-Quertier, J., Paturiaux-Hanocq, F., Pays, A., Tebabi, P., Nolan, D.P., Michel, A., Pays, E. EMBO J. (1997)
These data records were left in the text by mistake =
Entry 1:
{
  "formula": "C18H26Br33F2N3O2",
  "method": "ωB97M-V with the def2-TZVPD basis set",
  "energy_ha": -86158.27454,
  "species": ["C", "C", "F", "C", "C", "F", "O", "C", "O", "C", "C", "N", "N", "N", "H", "H", "H", "H", "H", "H", "H", "H", "H", "H", "H", "H", "H", "H", "H", "C", "Br", "Br", "Br", "H", "C", "Br", "Br", "Br", "H", "C", "Br", "Br", "Br", "H", "C", "Br", "Br", "Br", "H", "C", "Br", "Br", "Br", "H", "C", "Br", "Br", "Br", "H", "C", "Br", "Br", "Br", "H", "C", "Br", "Br", "Br", "H", "C", "Br", "Br", "Br", "H", "C", "Br", "Br", "Br", "H", "C", "Br", "Br", "Br", "H"],
End of the data records =
- Mechanisms of estrogen action on the proliferation of MCF-7 human breast cancer cells in an improved culture medium. Furuya, Y., Kohno, N., Fujiwara, Y., Saitoh, Y. Cancer Res. (1989)
- Characterization of the mucin differentiation in human lung adenocarcinoma cell lines. Yang, P.C., Luh, K.T., Wu, R., Wu, C.W. Am. J. Respir. Cell Mol. Biol. (1992)
- Effect of melanocyte stimulating hormone on human cultured choroidal melanocytes, uveal melanoma cells, and retinal epithelial cells. Goodall, T., Buffey, J.A., Rennie, I.G., Benson, M., Parsons, M.A., Faulkner, M.K., MacNeil, S. Invest. Ophthalmol. Vis. Sci. (1994)
- Development of a serum-free medium which supports the long-term growth of human and nonhuman primate lymphoid cells. Brown, R.L., Griffith, R.L., Neubauer, R.H., Rabin, H. J. Cell. Physiol. (1983)
- Effect of serum albumin on siderophore-mediated utilization of transferrin iron. Konopka, K., Neilands, J.B. Biochemistry (1984)
- Efficacy of transfer factor in treating patients with recurrent ocular herpes infections. Meduri, R., Campos, E., Scorolli, L., De Vinci, C., Pizza, G., Viza, D. Biotherapy (Dordrecht, Netherlands) (1996)
- Factors controlling the proliferative rate, final cell density, and life span of bovine vascular smooth muscle cells in culture. Gospodarowicz, D., Hirabayashi, K., Giguère, L., Tauber, J.P. J. Cell Biol. (1981)
- Intracellular colocalization of variant surface glycoprotein and transferrin-gold in Trypanosoma brucei. Webster, P., Grab, D.J. J. Cell Biol. (1988)
- Comparison of the ability of basement membranes produced by corneal endothelial and mouse-derived Endodermal PF-HR-9 cells to support the proliferation and differentiation of bovine kidney tubule epithelial cells in vitro. Gospodarowicz, D., Lepine, J., Massoglia, S., Wood, I. J. Cell Biol. (1984)
- Effects of oxygen tension and supplements to the culture medium on activation and development of bovine follicles in vitro. Gigli, I., Byrd, D.D., Fortune, J.E. Theriogenology (2006)
- Effects of sperm treatments on the in vitro development of bovine oocytes in semidefined and defined media. Jaakma, U., Zhang, B.R., Larsson, B., Niwa, K., Rodriguez-Martinez, H. Theriogenology (1997)
[Here the piece breaks off for records of molecules]
The following is a DFT calculation (ωB97M-V/def2-TZVPD) of a structure of composition C29H34CsF5GeIN2OS4Te at a distorted geometry.

```
! RIJCOSX wB97M-V def2-TZVPD def2/J DEFGRID3
* xyz 0 2
Cs 1.65 -0.41 -0.72
C -2.62 -1.97 1.52
C -2.30 -3.24 0.73
S -1.43 -2.91 -0.82
C -0.49 -4.45 -1.06
C 0.31 -4.95 0.15
S 1.11 -3.53 0.91
C 1.91 -4.27 2.33
C 2.76 -3.20 3.03
S 2.09 -1.53 3.13
C 0.61 -1.72 4.15
C -0.67 -2.20 3.45
S -1.20 -1.05 2.17
H -3.28 -2.23 2.35
H -3.18 -1.27 0.90
H -3.23 -3.77 0.53
H -1.67 -3.89 1.34
H 0.21 -4.20 -1.86
H -1.15 -5.24 -1.41
H 1.05 -5.67 -0.19
H -0.34 -5.44 0.87
H 2.55 -5.09 2.03
H 1.14 -4.66 3.01
H 3.68 -3.06 2.46
H 3.03 -3.55 4.02
H 0.44 -0.75 4.60
H 0.84 -2.41 4.97
H -1.46 -2.29 4.20
H -0.50 -3.18 3.00
C 0.49 4.93 1.86
C 0.55 3.61 2.30
C 0.01 2.60 1.51
C -0.60 2.88 0.29
C -0.64 4.22 -0.14
C -0.10 5.23 0.64
Ge -1.33 1.49 -0.86
C -1.24 2.12 -2.71
C -2.40 2.31 -3.47
C -2.32 2.78 -4.77
C -1.08 3.06 -5.34
C 0.07 2.87 -4.60
C 0.00 2.40 -3.30
C -3.12 0.99 -0.34
C -3.87 0.11 -1.12
C -5.14 -0.30 -0.72
C -5.67 0.17 0.48
C -4.93 1.04 1.27
C -3.67 1.45 0.86
H 0.92 5.72 2.47
H 1.02 3.37 3.24
H 0.06 1.57 1.87
H -1.08 4.46 -1.10
H -0.15 6.26 0.30
H -3.37 2.11 -3.04
H -3.23 2.93 -5.35
H -1.02 3.42 -6.36
H 1.04 3.08 -5.04
H 0.91 2.26 -2.74
H -3.46 -0.28 -2.05
H -5.70 -0.98 -1.34
H -6.65 -0.15 0.80
H -5.35 1.41 2.20
H -3.11 2.14 1.49
F 5.13 -3.80 -2.51
Te 4.16 -2.96 -1.18
F 5.54 -3.40 -0.03
F 3.52 -4.64 -0.67
F 5.17 -1.42 -1.55
F 3.60 -1.93 0.37
O 2.70 -2.45 -2.09
I 6.62 3.87 -1.92
C 4.69 3.54 -1.33
C 3.82 4.44 -0.77
N 2.66 3.78 -0.55
N 2.73 2.50 -0.93
C 3.96 2.34 -1.40
H 3.93 5.48 -0.52
H 1.81 4.14 -0.15
H 4.28 1.38 -1.78
*
```

Its gap between HOMO and LUMO (spin up / spin down) is 7.5 / 6.9 eV. For the energy above the lowest of the compared OMol25 structures with the same formula, charge and spin, the calculation gives 0.084 eV. The max |F| comes out at 1.20 eV Å⁻¹. As for the energy: -6065.08119 Ha. The LUMO energy (spin up / spin down) comes out at 0.07 / -1.22 eV.

The following is a DFT calculation (ωB97M-V/def2-TZVPD) of a cluster of 9 separate species, C29H34F11N3O28P in total at a distorted geometry.

```
! RIJCOSX wB97M-V def2-TZVPD def2/J DEFGRID3
* xyz 1 1
C -2.50 -0.77 -3.02
C -3.83 -1.56 -3.64
O -4.66 -0.84 -4.39
O -4.02 -3.02 -3.33
C -5.23 -3.03 -2.48
N -5.18 -4.09 -1.37
C -4.47 -3.91 -0.18
N -4.51 -5.03 0.84
P -6.12 -5.26 1.56
O -5.98 -4.79 3.26
O -7.35 -4.27 0.80
N -3.68 -2.63 -0.04
C -3.41 -2.24 1.39
F -2.71 -0.91 1.34
F -2.49 -3.16 2.11
F -4.67 -1.97 2.18
H -2.77 0.10 -2.29
H -1.80 -0.32 -3.86
H -1.87 -1.56 -2.42
H -6.18 -3.15 -3.18
H -5.36 -1.96 -1.97
H -5.75 -4.96 -1.55
H -4.14 -5.92 0.43
H -6.27 -3.81 3.37
H -7.13 -3.32 1.04
H -2.80 -2.71 -0.61
C -2.68 1.89 2.07
C -1.59 2.71 1.47
O -1.85 4.01 1.96
C -2.45 3.82 3.16
O -2.58 4.69 4.01
O -2.89 2.53 3.31
F -1.70 2.74 0.12
H -3.60 1.91 1.49
H -2.38 0.85 2.22
H -0.58 2.40 1.75
C 2.61 3.17 2.32
C 3.83 2.35 2.03
O 3.34 1.03 2.03
C 2.04 1.13 1.63
O 1.37 0.19 1.25
- Sertoli cell function varies along the seminiferous tubule: the proportion and response of transferrin secretors differ between stage-associated tubule segments. Garza, M.M., Schwarz, L.K., Bonner, J.M., Boockfor, F.R. Endocrinology (1991)
- Glomerular endothelial injury associated with free radical production induced by a fungal cell wall component, (1-->3) beta-D glucan. Iwamoto, N., Yoshioka, T., Nitta, K., Ito, K. Life Sci. (1998)
- Bovine 'transfer factor': an oligoribonucleopeptide which initiates antigen-specific lymphocytes responsiveness. Wilson, G.B., Paddock, G.V., Fudenberg, H.H. Thymus (1982)
- Developments in immunotherapy. Krakowka, S. Modern veterinary practice. (1981)
- Polymorphisms in blood proteins of Bos indicus and Bos taurus cattle breeds of Cameroon and Nigeria, and description of new albumin variants. Ibeagha-Awemu, E.M., Jäger, S., Erhardt, G. Biochem. Genet. (2004)
- Regulation of Fas antigen (Fas, CD95)-mediated apoptosis of bovine granulosa cells by serum and growth factors. Quirk, S.M., Harman, R.M., Cowan, R.G. Biol. Reprod. (2000)
- Endothelial Ca2+ waves preferentially originate at specific loci in caveolin-rich cell edges. Isshiki, M., Ando, J., Korenaga, R., Kogo, H., Fujimoto, T., Fujita, T., Kamiya, A. Proc. Natl. Acad. Sci. U.S.A. (1998)
- Continuous culture and soft agarose cloning of multiple human breast carcinoma cell lines in serum-free medium. Calvo, F., Brower, M., Carney, D.N. Cancer Res. (1984)
- Constitutive lysosomal targeting and degradation of bovine endothelin-converting enzyme-1a mediated by novel signals in its alternatively spliced cytoplasmic tail. Emoto, N., Nurhantari, Y., Alimsardjono, H., Xie, J., Yamada, T., Yanagisawa, M., Matsuo, M. J. Biol. Chem. (1999)
- Iron status and dietary iron intake of 6-24-month-old children in Adelaide. Oti-Boateng, P., Seshadri, R., Petrick, S., Gibson, R.A., Simmer, K. Journal of paediatrics and child health. (1998)
- Maternal transferrin uptake by and transfer across the visceral yolk sac of the early postimplantation rat conceptus in vitro. Huxham, I.M., Beck, F. Dev. Biol. (1985)